Contents:
=====
! ZrPd5 | OQMD | PBE | relaxed; values from VASP
&SYSTEM
  ibrav = 0, nat = 6, ntyp = 2
/
ATOMIC_SPECIES
Pd 106.42 Pd.upf
Zr 91.22 Zr.upf
CELL_PARAMETERS angstrom
0.217 -5.107 0.839
-4.211 -2.538 1.629
-2.458 -3.256 -3.192
ATOMIC_POSITIONS angstrom
Pd -3.648 -5.715 -1.863
Pd -4.522 -5.357 0.541
Pd -2.314 -6.638 0.147
Pd -4.840 -8.175 -0.542
Pd -2.422 -4.091 -0.271
Zr 0.000 0.000 0.000
! E_tot	-6.1493	eV per atom
! V	16.4	A^3/atom
! ρ	10.5	g/cm³


Version w
A relaxed PuThTcHg crystal, computed with GGA-PBE.

## Properties
The value obtained for the spin magnetization is 4.994 Bohr magnetons per cell.

a b c (Å): 3.3922 3.3922 8.3866
angles (deg): 90.00 90.00 90.00
With the nearest neighbours (Å) after each atom.
Atoms (fractional coordinates):
Pu (0.0000, 0.0000, 0.0000)  4 Tc 2.94
Th (0.0000, 0.0000, 0.4206)  4 Tc 3.02
Tc (0.5000, 0.5000, 0.2020)  4 Pu 2.94, 4 Th 3.02
Hg (0.5000, 0.5000, 0.7205)  4 Pu 3.35, 4 Hg 3.39, 4 Th 3.48

***

Version x
A relaxed PuThTcHg crystal, computed with GGA-PBE.

## Properties
The value obtained for the spin magnetization is 5.334 Bohr magnetons per cell.

a b c (Å): 5.1380 5.1380 5.1380
angles (deg): 60.00 60.00 60.00
With the nearest neighbours (Å) after each atom.
Atoms (fractional coordinates):
Pu (0.0000, 0.0000, 0.0000)  4 Hg 3.15, 4 Tc 3.15
Th (0.5000, 0.5000, 0.5000)  4 Hg 3.15, 4 Tc 3.15
Tc (0.2500, 0.2500, 0.2500)  4 Th 3.15, 4 Pu 3.15
Hg (0.7500, 0.7500, 0.7500)  4 Th 3.15, 4 Pu 3.15

***

Energies in meV/atom, measured from the most stable structure: version w 0; version x 167.

***

Version w
A relaxed PuHgTe crystal, computed with GGA-PBE.

## Properties
The value obtained for the spin magnetization is 6.001 Bohr magnetons per cell.

a b c (Å): 5.2045 5.2045 5.2045
angles (deg): 60.00 60.00 60.00
With the nearest neighbours (Å) after each atom.
Atoms (fractional coordinates):
Pu (0.0000, 0.0000, 0.0000)  4 Hg 3.19, 4 Te 3.19
Hg (0.7500, 0.7500, 0.7500)  4 Pu 3.19
Te (0.2500, 0.2500, 0.2500)  4 Pu 3.19

***

Version x
A relaxed PuHgTe crystal, computed with GGA-PBE.

## Properties
The value obtained for the spin magnetization is 5.994 Bohr magnetons per cell.

a b c (Å): 5.8851 5.8851 5.8851
angles (deg): 140.19 140.19 57.56
With the nearest neighbours (Å) after each atom.
Atoms (fractional coordinates):
Pu (0.0000, 0.0000, 0.0000)  5 Te 3.27-3.53, 5 Hg 3.34-3.39
Hg (0.6717, 0.6717, 0.0000)  5 Te 3.34-3.40, 5 Pu 3.34-3.39
Te (0.3423, 0.3423, 0.0000)  5 Pu 3.27-3.53, 5 Hg 3.34-3.40

***

Version y
A relaxed PuHgTe crystal, computed with GGA-PBE.

## Properties
The value obtained for the spin magnetization is 5.991 Bohr magnetons per cell.

a b c (Å): 5.2652 5.2652 3.4140
angles (deg): 90.00 90.00 120.00
With the nearest neighbours (Å) after each atom.
Atoms (fractional coordinates):
Pu (0.0000, 0.0000, 0.0000)  2 Pu 3.41, 6 Hg 3.49, 6 Te 3.49
Hg (0.6667, 0.3333, 0.5000)  3 Te 3.04
Te (0.3333, 0.6667, 0.5000)  3 Hg 3.04

***

Energies in meV/atom, measured from the most stable structure: version w 0; version x 7; version y 209.
=====

Request:
What is needed: count the lines further up that contain the word "The" and give the number alone.

Worked solution:
5